Commitment is a big word for some people, some will run from it, some will half commit and not fallow through, and some will go head long into it all the way knowing they have done their homework believing in what they are doing.
Now a lot of you may know already that GIANT BICYCLES has done just that, they have went head long into the 27.5 tire size for just about all their 2014 mountain bike line and have all but sent the 26″ mountain bike way of the Dodo (for our younger readers this is a saying referring to an extincted bird) except for their DH Glory and Reing X which I would bet will fallow next into the 27.5 line, after all their are others that are doing DH and Freeride bikes in 27.5 with some success.
For those who know GIANT this wouldn’t be the first time they have done this. In 2006 GIANT was the first manufacturer to bring the tapered headtube to market, known as OverDrive2. So you can bet that when Giant decides to do something big it won’t be on a whim.
Here is a look at why GIANT feels the 27.5 is superior performance without compromise and cool pics of the 2014 27.5 line.

Overall Bike Weight
Compare the weights of identically equipped bikes with different wheel sizes and you’ll see substantial weight differences. As expected, the 26-inch-wheel bike is somewhat lighter than the 27.5, and substantially lighter than the 29 (up to two pounds of overall bike weight savings from 29 to 27.5). Every gram saved helps you ride faster.

Wheel/Tire Weight
The overall weight of a 27.5 wheel set (wheel, tire and inner tube) is only 5% greater than that of an identically built 26-inch wheel set. Compare this to the 12% increase of a 29-inch wheel set and you can see how a seemingly small increase in diameter results in substantial weight gain—and poorer performance when climbing or accelerating.

____________
Computed, not measured: La5Sm3Ni7AgO20 after structural relaxation at the GGA+U level of DFT.

abc: 11.028 11.513 17.603
angles: 109.51 108.41 89.83
Sites, in units of the cell vectors:
O 0.369 0.614 0.482
Ni 0.855 0.404 0.749
Ni 0.360 0.403 0.749
Ni 0.505 0.999 0.500
La 0.946 0.202 0.389
O 0.350 0.109 0.969
O 0.389 0.389 0.025
O 0.424 0.068 0.750
O 0.848 0.109 0.970
O 0.386 0.386 0.516
Ag 0.496 0.000 0.002
O 0.586 0.109 0.638
La 0.696 0.435 0.390
La 0.435 0.696 0.887
O 0.136 0.382 0.518
La 0.941 0.198 0.885
O 0.886 0.387 0.517
O 0.148 0.385 0.032
Ni 0.606 0.097 0.749
O 0.349 0.777 0.140
O 0.179 0.438 0.252
O 0.356 0.274 0.138
Ni 0.501 0.497 0.001
O 0.390 0.884 0.519
O 0.119 0.619 0.484
Ni 0.253 0.750 0.003
La 0.445 0.703 0.389
O 0.472 0.865 0.846
Ni 0.005 0.501 0.500
O 0.673 0.433 0.247
Sm 0.300 0.067 0.114
O 0.209 0.724 0.864
O 0.451 0.392 0.861
O 0.111 0.626 0.975
La 0.948 0.704 0.390
Sm 0.554 0.300 0.112
La 0.055 0.302 0.115
Ag 0.747 0.749 0.003
O 0.634 0.879 0.519
Ni 0.750 0.252 0.000
Sm 0.187 0.935 0.887
O 0.597 0.612 0.139
Ag 0.001 0.500 0.000
O 0.853 0.602 0.961
O 0.179 0.437 0.750
Ni 0.754 0.750 0.499
La 0.056 0.296 0.609
O 0.136 0.882 0.518
O 0.963 0.366 0.845
O 0.581 0.609 0.636
O 0.885 0.895 0.033
La 0.309 0.565 0.609
O 0.922 0.562 0.246
Ni 0.754 0.250 0.500
O 0.844 0.277 0.137
O 0.632 0.380 0.023
Ni 0.609 0.095 0.250
Ni 0.357 0.903 0.248
Ni 0.360 0.401 0.247
Sm 0.684 0.934 0.880
La 0.190 0.437 0.887
O 0.885 0.886 0.517
O 0.881 0.761 0.156
Ni 0.361 0.902 0.748
Ni 0.108 0.600 0.751
O 0.336 0.280 0.637
Sm 0.685 0.434 0.889
O 0.694 0.218 0.365
O 0.973 0.873 0.845
La 0.698 0.937 0.389
O 0.181 0.933 0.754
Ni 0.110 0.096 0.751
Ni 0.109 0.600 0.250
O 0.828 0.777 0.633
Ni 0.005 0.000 0.500
La 0.197 0.436 0.390
O 0.727 0.735 0.844
O 0.424 0.065 0.246
O 0.868 0.613 0.481
La 0.805 0.564 0.611
O 0.367 0.613 0.987
O 0.943 0.895 0.363
Sm 0.943 0.707 0.886
La 0.306 0.061 0.608
Sm 0.541 0.794 0.113
Ni 0.856 0.400 0.248
O 0.084 0.107 0.639
O 0.426 0.565 0.246
O 0.173 0.932 0.247
Sm 0.794 0.560 0.114
Sm 0.555 0.793 0.606
O 0.117 0.123 0.976
O 0.945 0.392 0.361
Sm 0.058 0.792 0.114
La 0.054 0.798 0.610
Ag 0.000 0.004 0.003
Ni 0.255 0.250 0.500
Ni 0.858 0.900 0.247
O 0.340 0.781 0.635
La 0.443 0.205 0.890
Ni 0.256 0.252 0.001
Ni 0.255 0.751 0.500
Ni 0.612 0.600 0.750
La 0.194 0.937 0.388
O 0.381 0.888 0.030
O 0.136 0.632 0.157
O 0.140 0.881 0.029
O 0.446 0.392 0.361
O 0.635 0.382 0.517
O 0.695 0.720 0.362
O 0.616 0.122 0.980
O 0.673 0.434 0.755
O 0.083 0.611 0.639
O 0.869 0.115 0.483
O 0.925 0.061 0.748
O 0.428 0.565 0.749
La 0.557 0.297 0.610
O 0.443 0.892 0.361
Ni 0.505 0.500 0.499
Ni 0.855 0.899 0.747
O 0.190 0.723 0.365
O 0.624 0.139 0.157
O 0.608 0.603 0.973
O 0.119 0.119 0.484
O 0.192 0.218 0.365
O 0.927 0.569 0.753
O 0.670 0.931 0.746
O 0.828 0.282 0.635
Ni 0.608 0.598 0.249
O 0.202 0.224 0.862
O 0.671 0.928 0.247
O 0.637 0.888 0.042
O 0.368 0.112 0.482
La 0.805 0.064 0.609
O 0.618 0.117 0.481
O 0.694 0.224 0.861
Ni 0.107 0.096 0.250
____________

Weight Comparison
Static wheel weight
Lighter wheels/tires result in a quicker acceleration and lighter overall bike weight – a win-win combination.



Snappier acceleration and a reduced angle of attack for a smoother, more agile ride.
Increased wheel diameter decreases the angle of attack (the angle in which a round object intersects a square object). This is a good thing. A 29-inch wheel rolls over a 6-centimeter square-edge obstacle 14% more efficiently than a 26-inch wheel does. In comparison, a 27.5-inch wheel rolls over the same obstacle 9.8% more efficiently than a 26-inch wheel does.
Another way to analyze angle of attack is the degree of impact—where 26-inch equals X degree, 27.5 equals X-4 degrees and 29 equals X-6 degrees. Again, a shallower angle is better—so 29-inch takes the win, with 27.5 exhibiting nearly the same performance but without the weight penalty.


Arguably the most important benefit of 27.5 over 29 is quicker acceleration. This is the “snap” that a rider feels when they push hard on the pedals. It is affected not just by overall static weight but also where the weight is distributed throughout the wheel. The farther the weight is from the center of the hub, the slower the acceleration. So a similarly constructed 1000-gram 29-inch wheel is slower to accelerate than a 1000-gram 26-inch wheel—because the larger diameter rim and longer spokes place weight farther from the hub. The key to snappy acceleration is minimizing the weight of the outermost components (rim, nipples, spokes, tire, tube). As you can see, a 27.5-inch wheel is only 1.5% slower to accelerate than a similarly constructed 26-inch wheel, but a 29-inch wheel is 3.6% slower than a similarly constructed 26-inch wheel.

A larger tire contact patch, increased stiffness, and optimized frame geometry improve traction, braking and handling.

The larger the diameter of a wheel, the greater the contact patch of the tire. A larger contact patch results in better traction, which leads to improved acceleration, deceleration and cornering. As you can see, a 27.5-inch wheel has a similar contact patch to the 29.


Frame Stiffness
Lateral (side-to-side) frame stiffness can be affected by wheel size. To accommodate larger wheels, frame dimensions must be elongated. Therefore, a size medium 29-inch wheel frame has more lateral flex (bottom bracket and headtube) than a size medium 27.5 or 26-inch wheel frameset. Additional flex compromises handling under heavy pedaling or sharp cornering
Frame Geometry
The larger the wheel, the more difficult it is to optimize geometry, especially on smaller frames. As the frame size decreases, headtube heights become higher (in relation to saddle height). On 26 or 27.5-inch frames, it’s less of a problem, but geometry limitations can affect smaller 29-inch-wheel frames.


Their was quite the buzz around the GIANT both and it was great to see them back at Interbike. The Advance line was beautiful to look at and people were very interested in the bikes, with the reps super busy and questions being ask I have to say GIANT may have a very good year in 2014.

So you got a glimpse of the 27.5 tech and a look at GIANT’S Advanced Composite line, but if you don’t want the Advance bike GIANT also has their ALUXX SL aluminum framed 27.5 Bikes, and Frame sets for the ANTHEM XC and TRANCE in Advance composite, as well as ALUXX aluminum, so they have your taste cover one way or the other.

Commitment, a big word for most brands out there. Most will want to wait and see what and where the current trend will go before they commit major resources and time to something as big as this. GIANT has the resources, takes the time, and has always brought their brand one step further then most I have seen with a lot of bang for the buck.
You could go to GIANT’s website at or see your local GIANT dealer today.

We want to say thanks to GIANT for the 27.5 Tech provided on their website and Mark Helms for the time at DirtDemo going over the 27.5 bikes.